**Excerpt:**
/*
# Ba2ZrCo (GGA-PBE, optimized geometry)
# - E_form: 3.8 eV/f.u.
# - Crystal system: tetragonal
# - V: 117 Å³ per cell
data_Ba2ZrCo
_cell_length_a 4.637
_cell_length_b 4.637
_cell_length_c 5.428
_cell_angle_alpha 90.00
_cell_angle_beta 90.00
_cell_angle_gamma 90.00
_symmetry_space_group_name_H-M 'P 4/m m m'
_symmetry_Int_Tables_number 123
_symmetry_space_group_name_Hall '-P 4 2'
loop_
_atom_site_label
_atom_site_fract_x
_atom_site_fract_y
_atom_site_fract_z
Ba1 0.000 0.500 0.000
Zr1 0.000 0.000 0.500
*/

**Job:**
Your job: set down only the lines further up with the word "Zr1" in them.

**Reply:**
Zr1 0.000 0.000 0.500